[Brief]
Your job: set down the lines below up to the one that holds "-3.301 6.405", that line included.

[Data]
No. 1
PBE with a Hubbard U Na4Mn2C4SO16, relaxed; energy relative to the lowest polymorph listed for this composition = 0.0056 eV per atom; ΔH_f (0 K) = -1976 meV per atom
1.0
9.857 0.000 0.000
-0.188 9.859 0.000
-4.837 -4.840 7.198
Na Mn C S O
8 4 8 2 32
direct
0.000 0.000 0.000
0.000 0.003 0.595
0.256 0.753 0.510
0.260 0.182 0.522
0.264 0.743 0.094
0.432 0.434 0.425
0.667 0.176 0.927
0.678 0.176 0.509
0.347 0.593 0.767
0.837 0.587 0.257
0.839 0.090 0.258
0.844 0.590 0.759
0.055 0.377 0.690
0.056 0.376 0.326
0.064 0.736 0.697
0.625 0.443 0.822
0.630 0.800 0.826
0.633 0.805 0.195
0.699 0.373 0.327
0.991 0.811 0.199
0.216 0.216 0.009
0.466 0.966 0.511
0.002 0.790 0.066
0.029 0.498 0.799
0.032 0.149 0.886
0.032 0.229 0.295
0.043 0.748 0.566
0.196 0.400 0.711
0.198 0.485 0.457
0.199 0.725 0.807
0.274 0.155 0.135
0.277 0.398 0.128
0.280 0.156 0.889
0.400 0.025 0.631
0.402 0.784 0.391
0.405 0.031 0.389
0.483 0.443 0.706
0.484 0.774 0.791
0.492 0.697 0.063
0.649 0.032 0.633
0.649 0.434 0.956
0.659 0.680 0.720
0.659 0.953 0.231
0.684 0.389 0.455
0.706 0.237 0.215
0.706 0.495 0.310
0.740 0.942 0.956
0.741 0.442 0.792
0.755 0.778 0.303
0.933 0.403 0.219
0.945 0.234 0.564
0.947 0.740 0.726
0.988 0.694 0.225
0.992 0.952 0.314

***

No. 2
PBE with a Hubbard U Sr2MgZnWO6, relaxed; energy relative to the lowest polymorph listed for this composition = 0.2267 eV per atom; ΔH_f (0 K) = -2307 meV per atom
1.0
2.987 1.724 5.408
-2.987 1.724 5.408
0.000 -3.449 5.408
Sr Mg Zn W O
2 1 1 1 6
direct
0.000 0.000 0.000
0.411 0.411 0.411
0.633 0.633 0.633
0.804 0.804 0.804
0.206 0.206 0.206
0.428 0.966 0.966
0.440 0.440 0.980
0.440 0.980 0.440
0.966 0.428 0.966
0.966 0.966 0.428
0.980 0.440 0.440

***

No. 3
PBE with a Hubbard U Ba2NiWO6, relaxed; ΔH_f (0 K) = -2564 meV per atom
1.0
5.026 0.000 2.901
-3.350 4.738 0.000
-1.675 -4.738 8.704
O Ba W Ni
12 4 2 2
direct
0.859 0.620 0.380
0.620 0.859 0.620
0.141 0.380 0.620
0.641 0.880 0.120
0.359 0.120 0.880
0.880 0.120 0.880
0.380 0.141 0.380
0.120 0.359 0.120
0.880 0.641 0.880
0.380 0.620 0.380
0.620 0.380 0.620
0.120 0.880 0.120
0.375 0.625 0.875
0.125 0.875 0.625
0.875 0.125 0.375
0.625 0.375 0.125
0.000 0.000 0.000
0.500 0.500 0.500
0.250 0.750 0.250
0.750 0.250 0.750

***

No. 4
PBE with a Hubbard U Cs2MgMnV2Cl2O6, relaxed; ΔH_f (0 K) = -2155 meV per atom
1.0
5.940 0.000 0.000
0.000 5.685 0.000
-2.173 0.000 9.056
Cs Mg Mn V Cl O
2 1 1 2 2 6
direct
0.009 0.000 0.228
0.991 0.000 0.772
0.500 0.014 0.500
0.500 0.533 0.000
0.289 0.517 0.599
0.711 0.517 0.401
0.000 0.521 0.000
0.500 0.097 0.000
0.000 0.636 0.500
0.283 0.210 0.561
0.376 0.613 0.782
0.500 0.676 0.500
0.624 0.613 0.218
0.717 0.210 0.439

***

No. 5
PBE with a Hubbard U VZnPO5, relaxed; energy relative to the lowest polymorph listed for this composition = 0.0000 eV per atom; ΔH_f (0 K) = -2474 meV per atom
1.0
3.685 -0.042 4.092
-3.301 6.405 0.000
-7.762 -6.271 4.099
V O Zn P
4 20 4 4
direct
0.248 0.752 0.250
0.248 0.252 0.249
0.748 0.752 0.749
0.748 0.252 0.750
0.379 0.045 0.294
0.882 0.700 0.112
0.382 0.200 0.612
0.932 0.247 0.599
0.359 0.553 0.635
0.859 0.053 0.135
0.613 0.801 0.387
0.432 0.747 0.099
0.115 0.275 0.417
0.618 0.958 0.705
0.883 0.728 0.582
0.879 0.545 0.794
0.383 0.228 0.082
0.139 0.949 0.865
0.564 0.256 0.900
0.064 0.756 0.400
0.113 0.301 0.887
0.615 0.776 0.917
0.639 0.449 0.365
0.118 0.458 0.206
0.778 0.342 0.091
0.278 0.842 0.591
0.720 0.166 0.407
0.220 0.666 0.907
0.214 0.324 0.571
0.714 0.824 0.071
0.283 0.179 0.928
0.783 0.679 0.428

***

No. 6
PBE with a Hubbard U BiMoO2, relaxed; ΔH_f (0 K) = -827 meV per atom
1.0
-3.273 3.273 6.292
3.273 -3.273 6.292
3.273 3.273 -6.292
Bi Mo O
4 4 8
direct
0.000 0.000 0.000
0.000 0.000 0.500
0.000 0.500 0.000
0.500 0.000 0.500
0.000 0.500 0.500
0.500 0.000 0.000
0.500 0.500 0.000
0.500 0.500 0.500
0.194 0.238 0.544
0.194 0.650 0.956
0.238 0.194 0.044
0.350 0.806 0.544
0.650 0.194 0.456
0.762 0.806 0.956
0.806 0.350 0.044
0.806 0.762 0.456

[Completed]
No. 1
PBE with a Hubbard U Na4Mn2C4SO16, relaxed; energy relative to the lowest polymorph listed for this composition = 0.0056 eV per atom; ΔH_f (0 K) = -1976 meV per atom
1.0
9.857 0.000 0.000
-0.188 9.859 0.000
-4.837 -4.840 7.198
Na Mn C S O
8 4 8 2 32
direct
0.000 0.000 0.000
0.000 0.003 0.595
0.256 0.753 0.510
0.260 0.182 0.522
0.264 0.743 0.094
0.432 0.434 0.425
0.667 0.176 0.927
0.678 0.176 0.509
0.347 0.593 0.767
0.837 0.587 0.257
0.839 0.090 0.258
0.844 0.590 0.759
0.055 0.377 0.690
0.056 0.376 0.326
0.064 0.736 0.697
0.625 0.443 0.822
0.630 0.800 0.826
0.633 0.805 0.195
0.699 0.373 0.327
0.991 0.811 0.199
0.216 0.216 0.009
0.466 0.966 0.511
0.002 0.790 0.066
0.029 0.498 0.799
0.032 0.149 0.886
0.032 0.229 0.295
0.043 0.748 0.566
0.196 0.400 0.711
0.198 0.485 0.457
0.199 0.725 0.807
0.274 0.155 0.135
0.277 0.398 0.128
0.280 0.156 0.889
0.400 0.025 0.631
0.402 0.784 0.391
0.405 0.031 0.389
0.483 0.443 0.706
0.484 0.774 0.791
0.492 0.697 0.063
0.649 0.032 0.633
0.649 0.434 0.956
0.659 0.680 0.720
0.659 0.953 0.231
0.684 0.389 0.455
0.706 0.237 0.215
0.706 0.495 0.310
0.740 0.942 0.956
0.741 0.442 0.792
0.755 0.778 0.303
0.933 0.403 0.219
0.945 0.234 0.564
0.947 0.740 0.726
0.988 0.694 0.225
0.992 0.952 0.314

***

No. 2
PBE with a Hubbard U Sr2MgZnWO6, relaxed; energy relative to the lowest polymorph listed for this composition = 0.2267 eV per atom; ΔH_f (0 K) = -2307 meV per atom
1.0
2.987 1.724 5.408
-2.987 1.724 5.408
0.000 -3.449 5.408
Sr Mg Zn W O
2 1 1 1 6
direct
0.000 0.000 0.000
0.411 0.411 0.411
0.633 0.633 0.633
0.804 0.804 0.804
0.206 0.206 0.206
0.428 0.966 0.966
0.440 0.440 0.980
0.440 0.980 0.440
0.966 0.428 0.966
0.966 0.966 0.428
0.980 0.440 0.440

***

No. 3
PBE with a Hubbard U Ba2NiWO6, relaxed; ΔH_f (0 K) = -2564 meV per atom
1.0
5.026 0.000 2.901
-3.350 4.738 0.000
-1.675 -4.738 8.704
O Ba W Ni
12 4 2 2
direct
0.859 0.620 0.380
0.620 0.859 0.620
0.141 0.380 0.620
0.641 0.880 0.120
0.359 0.120 0.880
0.880 0.120 0.880
0.380 0.141 0.380
0.120 0.359 0.120
0.880 0.641 0.880
0.380 0.620 0.380
0.620 0.380 0.620
0.120 0.880 0.120
0.375 0.625 0.875
0.125 0.875 0.625
0.875 0.125 0.375
0.625 0.375 0.125
0.000 0.000 0.000
0.500 0.500 0.500
0.250 0.750 0.250
0.750 0.250 0.750

***

No. 4
PBE with a Hubbard U Cs2MgMnV2Cl2O6, relaxed; ΔH_f (0 K) = -2155 meV per atom
1.0
5.940 0.000 0.000
0.000 5.685 0.000
-2.173 0.000 9.056
Cs Mg Mn V Cl O
2 1 1 2 2 6
direct
0.009 0.000 0.228
0.991 0.000 0.772
0.500 0.014 0.500
0.500 0.533 0.000
0.289 0.517 0.599
0.711 0.517 0.401
0.000 0.521 0.000
0.500 0.097 0.000
0.000 0.636 0.500
0.283 0.210 0.561
0.376 0.613 0.782
0.500 0.676 0.500
0.624 0.613 0.218
0.717 0.210 0.439

***

No. 5
PBE with a Hubbard U VZnPO5, relaxed; energy relative to the lowest polymorph listed for this composition = 0.0000 eV per atom; ΔH_f (0 K) = -2474 meV per atom
1.0
3.685 -0.042 4.092
-3.301 6.405 0.000